Can you provide any examples of how small details will look from this machine ( basic machine and pro)? Maybe show any examples of what the smallest details are that you have produced from a GF. Whats the smallest font size you could produce with the both models. Thanks!
I don’t have any “smallest” designs handy, but for reference, the beam is roughly 0.008" in diameter, and the laser can move with 0.001" accuracy.
So quick google math says that is about 0.2 mm. For reference, a 1pt stroke in photoshop or illustrator would be about 0.35mm tall
(general reference: don’t use these figures for anything mission-critical. I don’t always math so good)
So I am trying to wrap my head around this. What kinds of resolution is possible with engraving letters or musical notes? Lines, kerfs, cuts. We will have to see. Depends on materials type and thickness. Focus, power. Lots of things we will have fun figuring out. In the meanwhile, I tried to come up with some visualization of this. Please correct me if I am on the wrong track. I made three lines, 1 inch, 1/2 inch, and 1/4 inch in length. There is a circle around them that is the size of a US dime, or .705 inches. Included is a picture of said dime scaled to .705 inches. The font is 6 point. The lines are spaced 0.025 inches apart on center and the width of the lines are .008. How this scales in the real world, I don’t know. But at least it gives me some practice in Inkscape. Excuse my Imperial measurements. Will work on metric for the enlightened folks in other countries.
I really don’t know how this translates to engraving with a laser. That part is new territory for me. It will be something to do with resolution, and how it is defined… i suppose.
My math above was based on typography and using point measurements, because that is how I design for print in illustrator. Typography is a whole field of in and of itself, but essentially there are 72 pts in an inch.
So a 6pt font would be 0.083" or 2.11mm from tallest ascender to lowest descender. But fonts are all different…
== Calculated crystals, as found in the file ==
........
#1
VASP calculation (GGA+U) on crystalline Na2CoSiCO7 at its relaxed geometry.

Unit cell a=5.1482 b=11.4544 c=11.4486 alpha=113.08 beta=88.84 gamma=91.13
With the nearest neighbours (Å) after each atom.
Fractional positions:
Na: 0.2400 0.1235 0.8830  5 O 2.32-2.56
Na: 0.2468 0.6202 0.3801  5 O 2.32-2.53
Na: 0.2487 0.3710 0.1295  5 O 2.32-2.54
Na: 0.2394 0.8665 0.6276  5 O 2.32-2.56
Na: 0.7655 0.6341 0.8700  5 O 2.31-2.48
Na: 0.7466 0.1276 0.3738  4 O 2.27-2.43
Na: 0.7617 0.8806 0.1164  5 O 2.31-2.48
Na: 0.7503 0.3752 0.6216  5 O 2.28-2.54
Co: 0.7980 0.0603 0.6903  5 O 1.88-2.10
Co: 0.1944 0.9364 0.3134  4 O 1.87-1.94
Co: 0.8099 0.5731 0.1772  4 O 1.88-1.92
Co: 0.1966 0.4374 0.8115  4 O 1.87-1.94
Si: 0.6771 0.3416 0.9110  4 O 1.63-1.67
Si: 0.6761 0.8385 0.4093  4 O 1.64-1.66
Si: 0.3208 0.6637 0.0861  4 O 1.64-1.65
Si: 0.3220 0.1578 0.5917  4 O 1.63-1.67
C: 0.7395 0.4049 0.3447  3 O 1.28
C: 0.7194 0.9123 0.8387  3 O 1.27-1.31
C: 0.2777 0.5873 0.6591  3 O 1.27-1.30
C: 0.2732 0.0918 0.1618  3 O 1.27-1.30
O: 0.2295 0.1576 0.0966  1 C 1.28
O: 0.2352 0.6527 0.5936  1 C 1.28
O: 0.7665 0.8470 0.9036  1 C 1.27
O: 0.7426 0.3379 0.4113  1 C 1.28
O: 0.9515 0.4410 0.3084  1 C 1.28
O: 0.9182 0.9563 0.7946  1 C 1.31
O: 0.0782 0.5418 0.7002  1 C 1.30
O: 0.0758 0.0501 0.2074  1 C 1.30
O: 0.5214 0.4360 0.3142  1 C 1.28
O: 0.4911 0.9362 0.8150  1 C 1.27
O: 0.5054 0.5650 0.6854  1 C 1.27
O: 0.5025 0.0663 0.1829  1 C 1.27
O: 0.1818 0.5855 0.1645  1 Si 1.64
O: 0.1696 0.0821 0.6678  1 Si 1.63
O: 0.8253 0.4160 0.8323  1 Si 1.63
O: 0.8229 0.9173 0.3342  1 Si 1.64
O: 0.3554 0.3498 0.9044  1 Si 1.67
O: 0.3545 0.8439 0.4011  1 Si 1.66
O: 0.6419 0.6611 0.0891  1 Si 1.65
O: 0.6434 0.1500 0.6002  1 Si 1.67
O: 0.7432 0.1880 0.8524  1 Si 1.66
O: 0.7494 0.6859 0.3455  1 Si 1.66
O: 0.7490 0.4048 0.0638  1 Si 1.66
O: 0.7438 0.8976 0.5626  1 Si 1.66
O: 0.2401 0.6021 0.9350  1 Si 1.65
O: 0.2588 0.0981 0.4381  1 Si 1.65
O: 0.2422 0.8152 0.1488  1 Si 1.65
O: 0.2571 0.3111 0.6504  1 Si 1.65

Values from the calculation:
Crystal system ... triclinic
Space group ... P1, No. 1

---

#2
VASP calculation (GGA+U) on crystalline Na2CoSiCO7 at its relaxed geometry.

Unit cell a=5.1334 b=11.6204 c=11.6134 alpha=114.70 beta=88.92 gamma=91.12
With the nearest neighbours (Å) after each atom.
Fractional positions:
Na: 0.2481 0.1215 0.8792  5 O 2.31-2.47
Na: 0.2481 0.6207 0.3779  5 O 2.30-2.48
Na: 0.2441 0.3718 0.1293  5 O 2.31-2.47
Na: 0.2458 0.8710 0.6279  5 O 2.30-2.48
Na: 0.7562 0.6293 0.8702  5 O 2.34-2.48
Na: 0.7530 0.1283 0.3721  5 O 2.31-2.51
Na: 0.7536 0.8793 0.1203  5 O 2.33-2.48
Na: 0.7508 0.3787 0.6220  5 O 2.31-2.51
Co: 0.8116 0.0696 0.6807  4 O 1.87-1.93
Co: 0.1871 0.9272 0.3226  4 O 1.87-1.92
Co: 0.8133 0.5747 0.1758  4 O 1.87-1.92
Co: 0.1875 0.4253 0.8240  4 O 1.87-1.92
Si: 0.6794 0.3379 0.9133  4 O 1.65-1.66
Si: 0.6780 0.8376 0.4118  4 O 1.65-1.66
Si: 0.3206 0.6626 0.0870  4 O 1.65-1.66
Si: 0.3228 0.1609 0.5891  4 O 1.64-1.66
C: 0.7381 0.4050 0.3451  3 O 1.28
........
== End of the calculated crystals ==
An extract from wikipedia: Point(Typography)
“In metal type, the point size of the font described the height of the metal body on which the typeface’s characters were cast. In digital type, letters of a font are designed around an imaginary space called an “em square”. When a point size of a font is specified, the font is scaled so that its em square has a side length of that particular length in points. Although the letters of a font usually fit within the font’s em square, there is not necessarily any size relationship between the two, so the point size does not necessarily correspond to any measurement of the size of the letters on the printed page.”
How digital designs scale in the real world has to do with resolution of the device that brings it into the real world: DPI (dots per inch) for print (…and maybe for lasers too?) and PPI (pixels per inch) for screen (although the terms are very often interchanged). You were working in inkscape, you made a circle with an exact size, but at what PPI (or DPI, i don’t know what inkscape calls it). Then maybe you scanned a dime, or found a photo of one online… maybe at a different resolution? That would explain why you had to scale it to fit a circle you had designed to be the correct size.
Hope I clarified more than I confused!
Yes. The whole pixels and points and ems is a fascinating thing. Really cool how each trade has its own measurements and descriptions. I spent a while trying to understand leather terms the other day and came up with a whole new meaning of “irons”. Then trying to figure out how it’s going to look on what resolution monitor or what resolution printer. My idea was to give a real world scale of what 0.008 would look in respect to a familiar object. The viewing medium transforms it but with the dime as a reference you can understand what a line might look like. So for example a 6 pt text block is pretty small and I wonder if the GF would engrave that small and still be legible. Maybe. But just barely. So one thing I’ve been thinking of is doing a wooden matches box, like the old time cast iron or sheet metal that you’d have for kitchen matches. It would have a trough at the bottom and then slots on the side for the striker paper. I bought a couple boxes to do some measuring with and then thought that the matches are about .110" thick for the wooden sticks. Could the GF engrave lettering on the side of a wooden match stick and still be legible? So we could use tongue depressors and that’s fine. We could use paint stirrers and that’s fine. Wooden carpenter pencils will be so cool to personalize. And Popsicle sticks would be great for engraving lettering or fancying up. Some type of Jenga/pickup stick/I don’t know what game. We’ll have to think of how to use them in a game. What is the next size common cheap wooden material that we could letter or decorate? Chopsticks have been done. And smaller? Wooden match sticks. And smaller? Flat toothpicks. So no, you didn’t confuse. You provoked more dreaming. Part of my work was just to refresh how to constrain lines and shapes to exact positions and sizes. Inkscape is very precise and you can choose any unit of measurement you want. I now have a better feel for miniscule dimensions.
I think it will be material dependent as well (especially for cutting). The laser focal point is where the thinnest part of the cut will be. Above and below that it spreads (it’s defocused). That yields a wider kerf. For a cut I try to set the Z axis so that the middle of my material thickness is at the focal point to yield the most consistent cut. For marking or light engraving I set it so the surface is just a hair above the focal point. But to be honest, there’s got to be some slop in what I’m doing as we use manual gauges to set the head to material heights & then I use a machinist rule to tweak the Z axis adjustment. It’s not as precise as it might sound when talking about .008" tolerance
Not sure if that’s the way the GF will operate though and what the focus range will be (how fast it shows defocusing as it gets closer or further from the focal point).
Definitely depends on the material and settings. For example, the titanium has an effective spot size much smaller than the beam diameter because the power distribution across the beam is Gaussian. Only the center of the beam is strong enough to penetrate the material, so the spot size ends up being about half the beam diameter. Conversely, if you’re really cranking on wood, you can get markings that extend well past the edges of the spot.
We have a lot of optimizing to do.